Acasă Etichete Edugate

Etichetă: Edugate

Protejat: Cours Prépa (CPGE – MPSI – 6). Subiecte de fizică...

A Grande école is a specialised elite professional school that is separate from, but parallel and often connected to, the main framework of the French public university system. The grandes écoles offer teaching, research and professional training in single academic fields such as engineering, architecture, business administration, academic research, or public policy and administration. The schools only admit students through an extremely competitive examination process; a significant proportion of their graduates occupy senior positions in French business, academia, civil service and civil society. Grandes écoles primarily admit students based on their national ranking in competitive written and oral exams called concours, which are organised annually by the French central government. While anyone can register for concours, successful candidates have almost always completed two or three years of dedicated preparatory classes ('classes preparatoires') prior to admission. Most Grandes écoles are publicly funded and therefore have limited tuition costs. Some grandes écoles, especially business school (Écoles de Commerce), are organised privately, and therefore have more costly tuitions. The term Grande école originated in 1794 after the French Revolution, when the National Convention created the École normale supérieure, the mathematician Gaspard Monge and Lazare Carnot created the École centrale des travaux publics (later École Polytechnique), and the abbot Henri Grégoire created the Conservatoire national des arts et métiers. The model was probably the military academy at Mézières, of which Monge was an alumnus. The system of competitive entry was used as a means to open up higher education to more candidates based on merit. Some schools included in the category have roots in the 17th and 18th centuries and are older than the term Grande école, which dates to 1794. Their forerunners were schools aimed at graduating civil servants, such as technical officers (Ecole d'Arts et Métiers, renamed Arts et Métiers ParisTech, established in 1780), mine supervisors (École des mines de Paris established in 1783), bridge and road engineers (École royale des ponts et chaussées established in 1747), and shipbuilding engineers (École des ingénieurs-constructeurs des vaisseaux royaux established in 1741). Five military engineering academies and graduate schools of artillery were established in the 17th century in France, such as the Ecole de l'artillerie de Douai (established in 1697) and the later école du génie de Mézières (established in 1748), wherein mathematics, chemistry and sciences were already a major part of the curriculum taught by first-rank scientists such as Pierre-Simon Laplace, Charles Étienne Louis Camus, Étienne Bézout, Sylvestre-François Lacroix, Siméon Denis Poisson, Gaspard Monge (most of whom were later to form the teaching corps of École Polytechnique during the Napoleonic era). In 1802, Napoleon created the École spéciale militaire de Saint-Cyr, which is also considered a grande école, although it trains only army officers. During the 19th century, a number of higher-education grandes écoles were established to support industry and commerce, such as École Nationale Supérieure des Mines de Saint-Étienne in 1816, Ecole Supérieure de Commerce de Paris (today ESCP Business School, founded in 1819), L'institut des sciences et industries du vivant et de l'environnement (Agro ParisTech) in 1826, and École Centrale des Arts et Manufactures (École Centrale Paris) in 1829.

Protejat: Cours Prépa (CPGE – MPSI – 8). Subiecte de matematici...

A Grande école is a specialised elite professional school that is separate from, but parallel and often connected to, the main framework of the French public university system. The grandes écoles offer teaching, research and professional training in single academic fields such as engineering, architecture, business administration, academic research, or public policy and administration. The schools only admit students through an extremely competitive examination process; a significant proportion of their graduates occupy senior positions in French business, academia, civil service and civil society. Grandes écoles primarily admit students based on their national ranking in competitive written and oral exams called concours, which are organised annually by the French central government. While anyone can register for concours, successful candidates have almost always completed two or three years of dedicated preparatory classes ('classes preparatoires') prior to admission. Most Grandes écoles are publicly funded and therefore have limited tuition costs. Some grandes écoles, especially business school (Écoles de Commerce), are organised privately, and therefore have more costly tuitions. The term Grande école originated in 1794 after the French Revolution, when the National Convention created the École normale supérieure, the mathematician Gaspard Monge and Lazare Carnot created the École centrale des travaux publics (later École Polytechnique), and the abbot Henri Grégoire created the Conservatoire national des arts et métiers. The model was probably the military academy at Mézières, of which Monge was an alumnus. The system of competitive entry was used as a means to open up higher education to more candidates based on merit. Some schools included in the category have roots in the 17th and 18th centuries and are older than the term Grande école, which dates to 1794. Their forerunners were schools aimed at graduating civil servants, such as technical officers (Ecole d'Arts et Métiers, renamed Arts et Métiers ParisTech, established in 1780), mine supervisors (École des mines de Paris established in 1783), bridge and road engineers (École royale des ponts et chaussées established in 1747), and shipbuilding engineers (École des ingénieurs-constructeurs des vaisseaux royaux established in 1741). Five military engineering academies and graduate schools of artillery were established in the 17th century in France, such as the Ecole de l'artillerie de Douai (established in 1697) and the later école du génie de Mézières (established in 1748), wherein mathematics, chemistry and sciences were already a major part of the curriculum taught by first-rank scientists such as Pierre-Simon Laplace, Charles Étienne Louis Camus, Étienne Bézout, Sylvestre-François Lacroix, Siméon Denis Poisson, Gaspard Monge (most of whom were later to form the teaching corps of École Polytechnique during the Napoleonic era). In 1802, Napoleon created the École spéciale militaire de Saint-Cyr, which is also considered a grande école, although it trains only army officers. During the 19th century, a number of higher-education grandes écoles were established to support industry and commerce, such as École Nationale Supérieure des Mines de Saint-Étienne in 1816, Ecole Supérieure de Commerce de Paris (today ESCP Business School, founded in 1819), L'institut des sciences et industries du vivant et de l'environnement (Agro ParisTech) in 1826, and École Centrale des Arts et Manufactures (École Centrale Paris) in 1829.

Protejat: Cours Prépa (CPGE – MPSI – 4). Subiecte de fizică...

A Grande école is a specialised elite professional school that is separate from, but parallel and often connected to, the main framework of the French public university system. The grandes écoles offer teaching, research and professional training in single academic fields such as engineering, architecture, business administration, academic research, or public policy and administration. The schools only admit students through an extremely competitive examination process; a significant proportion of their graduates occupy senior positions in French business, academia, civil service and civil society. Grandes écoles primarily admit students based on their national ranking in competitive written and oral exams called concours, which are organised annually by the French central government. While anyone can register for concours, successful candidates have almost always completed two or three years of dedicated preparatory classes ('classes preparatoires') prior to admission. Most Grandes écoles are publicly funded and therefore have limited tuition costs. Some grandes écoles, especially business school (Écoles de Commerce), are organised privately, and therefore have more costly tuitions. The term Grande école originated in 1794 after the French Revolution, when the National Convention created the École normale supérieure, the mathematician Gaspard Monge and Lazare Carnot created the École centrale des travaux publics (later École Polytechnique), and the abbot Henri Grégoire created the Conservatoire national des arts et métiers. The model was probably the military academy at Mézières, of which Monge was an alumnus. The system of competitive entry was used as a means to open up higher education to more candidates based on merit. Some schools included in the category have roots in the 17th and 18th centuries and are older than the term Grande école, which dates to 1794. Their forerunners were schools aimed at graduating civil servants, such as technical officers (Ecole d'Arts et Métiers, renamed Arts et Métiers ParisTech, established in 1780), mine supervisors (École des mines de Paris established in 1783), bridge and road engineers (École royale des ponts et chaussées established in 1747), and shipbuilding engineers (École des ingénieurs-constructeurs des vaisseaux royaux established in 1741). Five military engineering academies and graduate schools of artillery were established in the 17th century in France, such as the Ecole de l'artillerie de Douai (established in 1697) and the later école du génie de Mézières (established in 1748), wherein mathematics, chemistry and sciences were already a major part of the curriculum taught by first-rank scientists such as Pierre-Simon Laplace, Charles Étienne Louis Camus, Étienne Bézout, Sylvestre-François Lacroix, Siméon Denis Poisson, Gaspard Monge (most of whom were later to form the teaching corps of École Polytechnique during the Napoleonic era). In 1802, Napoleon created the École spéciale militaire de Saint-Cyr, which is also considered a grande école, although it trains only army officers. During the 19th century, a number of higher-education grandes écoles were established to support industry and commerce, such as École Nationale Supérieure des Mines de Saint-Étienne in 1816, Ecole Supérieure de Commerce de Paris (today ESCP Business School, founded in 1819), L'institut des sciences et industries du vivant et de l'environnement (Agro ParisTech) in 1826, and École Centrale des Arts et Manufactures (École Centrale Paris) in 1829.

Gifted Education: „Dacă vrei să ne ajuți, ai putea să faci...

Thomas CSINTA, Profesor de matematici aplicate în științe inginerești și social–economice, Director de studii CUFR (Consultanță Universitară Franco–Română) de pe lângă Școlile Superioare Franceze...

The Alphabet – proiecție culturală la Centrul Gifted Education din București

Thomas CSINTA, Profesor de matematici aplicate în științe inginerești și social–economice, Director de studii CUFR (Consultanță Universitară Franco–Română) de pe lângă Școlile Superioare Franceze...

Centrul Gifted Education. Cea de-a doua evaluare comportamentală (anuală) a copiilor...

Thomas CSINTA. Profesor de matematici aplicate în științe inginerești și social–economice, Director de studii CUFR (Consultanță Universitară Franco – Română) de pe lângă Școlile...

Ai dat vreodată un test IQ? Merită să încerci! Experiența testării...

Thomas CSINTA, Profesor de matematici aplicate în științe inginerești și social–economice, Director de studii CUFR (Consultanță Universitară Franco – Română) de pe lângă Școlile...

Centrul Gifted Education – „Porți deschise” pentru manifestarea potențialului copiilor gifted...

Thomas CSINTA, Profesor de matematici aplicate în științe inginerești și social–economice, Director de studii CUFR (Consultanță Universitară Franco – Română) de pe lângă Școlile...

Calculated crystals that have nothing to do with the article:
No. 1
The following is a GGA+U calculation of an optimized crystal structure of W10O29, from the Materials Project.

```
78
Lattice="12.2799 0.0000 0.0000 0.0000 3.8574 0.0000 -1.9563 0.0000 23.8833" Properties=species:S:1:pos:R:3 pbc="T T T"
W -0.4249 0.0000 7.6907
W -0.2238 0.0000 19.8469
W 0.8503 0.0000 11.3164
W 1.9145 0.0000 2.8124
W 0.9566 0.0000 23.5780
W 2.1219 0.0000 14.9343
W 3.2471 0.0000 6.4804
W 3.4037 0.0000 18.5753
W 4.5248 0.0000 10.1306
W 5.6848 0.0000 1.6166
W 4.6388 0.0000 22.2667
W 5.7988 0.0000 13.7527
W 6.9200 0.0000 5.3080
W 7.0765 0.0000 17.4030
W 8.2017 0.0000 8.9490
W 9.3671 0.0000 0.3053
W 8.4091 0.0000 21.0709
W 9.4733 0.0000 12.5669
W 10.5475 0.0000 4.0364
W 10.7486 0.0000 16.1926
O -0.9781 0.0000 11.9417
O -0.4128 1.9287 7.5998
O 0.1257 0.0000 3.2844
O -0.8784 0.0000 18.1271
O 0.2299 0.0000 9.4500
O -0.2379 1.9287 19.9877
O 1.4080 0.0000 0.7760
O 0.2865 0.0000 15.6344
O 0.8502 1.9287 11.3094
O 1.4095 0.0000 6.9516
O 0.3577 0.0000 21.8492
O 1.9545 1.9287 2.6898
O 1.4909 0.0000 13.1610
O 1.0866 1.9287 23.5926
O 2.6955 0.0000 4.4737
O 1.5975 0.0000 19.3657
O 2.1216 1.9287 15.0124
O 2.6913 0.0000 10.7065
O 3.2456 1.9287 6.3587
O 3.6895 0.0000 1.7449
O 2.7476 0.0000 16.8574
O 3.8681 0.0000 8.2308
O 2.9837 0.0000 23.4466
O 3.4093 1.9287 18.7037
O 3.9636 0.0000 14.4063
O 4.5234 1.9287 10.0842
O 5.0891 0.0000 5.7868
O 4.0277 0.0000 20.5586
O 5.6632 1.9287 1.5152
O 5.1618 0.0000 11.9417
O 4.6605 1.9287 22.3681
O 6.2960 0.0000 3.3247
O 5.2345 0.0000 18.0965
O 5.8003 1.9287 13.7991
O 6.3600 0.0000 9.4770
O 6.9144 1.9287 5.1796
O 7.3400 0.0000 0.4367
O 6.4556 0.0000 15.6525
O 7.5761 0.0000 7.0259
O 6.6341 0.0000 22.1384
O 7.0780 1.9287 17.5246
O 7.6323 0.0000 13.1768
O 8.2020 1.9287 8.8710
O 8.7262 0.0000 4.5176
O 7.6281 0.0000 19.4097
O 9.2370 1.9287 0.2907
O 8.8327 0.0000 10.7223
O 8.3691 1.9287 21.1935
O 9.9659 0.0000 2.0341
O 8.9141 0.0000 16.9317
O 9.4734 1.9287 12.5739
O 10.0371 0.0000 8.2489
O 8.9157 0.0000 23.1073
O 10.5616 1.9287 3.8956
O 10.0938 0.0000 14.4333
O 11.2020 0.0000 5.7562
O 10.1979 0.0000 20.5989
O 10.7364 1.9287 16.2835
```

Calculated values
Space-group type: P2/m, No. 10
Total energy, eV for the cell shown: -586.486

---

No. 2
The following is a GGA+U calculation of an optimized crystal structure of WO3, from the Materials Project.

```
16
Lattice="5.4782 0.0000 0.0000 0.0000 5.4815 0.0000 0.0000 0.0000 7.6976" Properties=species:S:1:pos:R:3 pbc="T T T"
W 0.0000 0.1419 1.9244
W 0.0000 5.3396 5.7732
W 2.7391 2.5988 5.7732
W 2.7391 2.8827 1.9244
O 0.0000 0.0000 0.0000
O 0.0000 0.0000 3.8488
O 1.3659 1.3356 5.7732
O 1.3659 4.1460 1.9244
O 1.3732 1.4052 1.9244
O 1.3732 4.0763 5.7732
O 2.7391 2.7408 0.0000
O 2.7391 2.7408 3.8488
O 4.1050 1.4052 1.9244
O 4.1050 4.0763 5.7732
O 4.1123 1.3356 5.7732
O 4.1123 4.1460 1.9244
```

Calculated values
Space-group type: Cmcm, No. 63
Total energy, eV for the cell shown: -120.258

---

No. 3

Protejat: Concursul Comun (de admitere „antepandemic”) al Institutelor Naționale Politehnice franceze...

Le Concours CCINP–pour „Concours communs des Instituts Nationaux Polytechniques”–est une banque d’épreuves écrites et orales, mobilisée par 33 écoles d’ingénieurs pour recruter leurs étudiants, après une classe de prépa scientifique (Maths Sup & Maths Spé). Comme les autres concours scientifiques après prépa maths sup–maths spé, il existe cinq voies d’accès au Concours CCINP après les CPGE (Classes Préparatoires Scientifiques aux Grandes Ecoles, MP-Maths Physique, PC-Physique Chimie, PSI-Physique Science de l’Ingénieur, PT-Physique Technologie et TSI-Technologie Sciences de l’Ingénieur). Attention. A ne pas confondre le Concours CCINP avec le concours de l'École Polytechnique (également appelée „l’X”), la plus prestigieuse des écoles d’ingénieur françaises, et dispose de son propre concours. Historiquement, l’appellation „Concours Communs Polytechniques” est héritée des Instituts Nationaux Polytechniques (INP). Ces établissements regroupent plusieurs écoles, dont la plupart font encore partie aujourd’hui du concours commun. Les instituts nationaux polytechniques ont donné leur nom au concours car ils dispensent une formation d’ingénieur généraliste, „polytechniques” en quelque sorte. Note. Le Concours des „Ptittes Mines” fait partie du Concours CCINP. Autre particularité du concours CCINP, il inclut le Concours Commun des Mines d’Alès, d’Albi, de Douai et de Nantes, mais uniquement en filière TSI. Dans les autres filières, les „Petites Mines” recrutent via le concours commun Mines Ponts. Ces 4 écoles des Mines proposaient autrefois un concours commun „Mines Sup” et étaient accessibles dès bac+1. Depuis 2012 ce n’est plus le cas mais il subsiste un concours commun au sein du Concours CCINP. Les écoles des Mines d’Albi, Alès, Douai et Nantes ont progressivement perdu leur surnom de „Petites Mines” ou „Minettes” que les taupins leur donnaient par comparaison avec l’Ecole des Mines, qui n’était, elle, accessible qu’à bac+2.Attention. Comme pour les écoles qui recrutent en Banque CCINP sans faire partie du Concours au sens strict, vous devez vous inscrire séparément au Concours commun des Mines.

Gifted Education. Înscrierile în Programul „Inspir” pentru anul 2022 (tineri gifted...

[Attached: records of crystals]
____________
[1]
MnPbS2O8: relaxed, GGA+U.

Volume   658.1 Å³ per cell
Corrected total energy (MP2020 scheme)   -0.5182 Ry/atom
Final energy   -6.453 eV/atom

Lattice parameters (Å, degrees): 6.859 6.859 13.989 90.00 90.00 90.00
Atoms (fractional coordinates):
O 0.293 0.615 0.924
O 0.160 0.889 0.013
O 0.115 0.207 0.174
O 0.124 0.171 0.345
O 0.140 0.491 0.504
S 0.247 0.174 0.257
Mn 0.666 0.334 0.750
S 0.747 0.326 0.993
O 0.885 0.793 0.674
S 0.826 0.753 0.243
O 0.624 0.329 0.905
O 0.860 0.509 0.004
Mn 0.166 0.166 0.500
O 0.876 0.829 0.845
Pb 0.750 0.250 0.250
O 0.385 0.707 0.576
O 0.840 0.111 0.513
O 0.829 0.876 0.155
S 0.674 0.253 0.507
O 0.389 0.340 0.263
O 0.360 0.991 0.246
S 0.253 0.674 0.493
O 0.329 0.624 0.095
O 0.009 0.640 0.254
O 0.671 0.376 0.595
Pb 0.250 0.750 0.750
O 0.111 0.840 0.487
S 0.174 0.247 0.743
O 0.991 0.360 0.754
Pb 0.750 0.750 0.500
Mn 0.334 0.666 0.250
O 0.340 0.389 0.737
Pb 0.250 0.250 0.000
O 0.707 0.385 0.424
O 0.509 0.860 0.996
S 0.753 0.826 0.757
O 0.611 0.660 0.763
Mn 0.834 0.834 0.000
O 0.376 0.671 0.405
O 0.660 0.611 0.237
O 0.793 0.885 0.326
O 0.171 0.124 0.655
O 0.491 0.140 0.496
O 0.889 0.160 0.987
O 0.640 0.009 0.746
O 0.207 0.115 0.826
S 0.326 0.747 0.007
O 0.615 0.293 0.076


[2]
MnPbS2O8: relaxed, GGA+U.

Volume   658.2 Å³ per cell
Corrected total energy (MP2020 scheme)   -0.5182 Ry/atom
Final energy   -6.453 eV/atom

Lattice parameters (Å, degrees): 6.859 6.859 13.990 90.00 90.00 90.00
Atoms (fractional coordinates):
S 0.326 0.747 0.493
O 0.885 0.793 0.826
Pb 0.250 0.750 0.750
O 0.611 0.660 0.737
Mn 0.834 0.834 0.500
S 0.753 0.826 0.743
O 0.389 0.340 0.237
O 0.340 0.389 0.763
O 0.115 0.207 0.326
O 0.385 0.707 0.924
Mn 0.166 0.166 0.000
O 0.889 0.160 0.513
O 0.671 0.376 0.905
O 0.707 0.385 0.076
O 0.829 0.876 0.345
O 0.876 0.829 0.655
O 0.860 0.509 0.496
Pb 0.750 0.250 0.250
O 0.293 0.615 0.576
Mn 0.666 0.334 0.750
S 0.174 0.247 0.757
O 0.360 0.991 0.254
O 0.991 0.360 0.746
O 0.329 0.624 0.405
O 0.171 0.124 0.845
S 0.747 0.326 0.507
O 0.840 0.111 0.987
O 0.140 0.491 0.996
O 0.376 0.671 0.095
O 0.124 0.171 0.155
Mn 0.334 0.666 0.250
O 0.160 0.889 0.487
S 0.826 0.753 0.257
O 0.624 0.329 0.595
Pb 0.750 0.750 0.000
S 0.247 0.174 0.243
O 0.009 0.640 0.246
O 0.509 0.860 0.504
Pb 0.250 0.250 0.500
O 0.640 0.009 0.754
O 0.660 0.611 0.263
S 0.674 0.253 0.993
O 0.615 0.293 0.424
O 0.111 0.840 0.013
O 0.207 0.115 0.674
O 0.491 0.140 0.004
S 0.253 0.674 0.007
O 0.793 0.885 0.174


no.,size of the total moment (Bohr magnetons per cell)
1,20.1
2,20.0


# 1
Material: ErB4W
Method: DFT, meta-GGA r2SCAN
State: optimized geometry

CIF file:
```
data_ErB4W
_cell_length_a 6.0020
_cell_length_b 11.5921
_cell_length_c 3.6010
_cell_angle_alpha 90.00
_cell_angle_beta 90.00
_cell_angle_gamma 90.00
_symmetry_space_group_name_H-M 'P b a m'
_symmetry_Int_Tables_number 55
_symmetry_space_group_name_Hall '-P 2 2ab'
loop_
_atom_site_label
_atom_site_fract_x
_atom_site_fract_y
_atom_site_fract_z
_atom_site_occupancy
Er1 0.1275 0.1491 0.0000 1
____________

  Thomas CSINTA, Profesor de matematici aplicate în științe inginerești și social–economice, Director de studii CUFR (Consultanță Universitară Franco – Română) de pe lângă Școlile...

Gifted education. Teoria educației. Misiunea noastră „Gifted Education” în România!

Thomas CSINTA, Profesor de matematici aplicate în științe inginerești și social–economice, Director de Studii CUFR România (Conseil Universitaire, Formation, Recherche auprès des Grandes Ecoles Francaises), Cofondator IRSCA...

Protejat: Teoria educației. Proiect pentru un IFS (Institut de Formare Strategică)

Thomas CSINTA Cofondator IRSCA Gifted Education Vicepreşedinte  Consorțiul EDUGATE Profesor de modelizare matematică și matematici aplicate în științe inginerești și social – economice, Director de Studii...

Protejat: Eșecul școlar și calvarul copiilor supradotați (cu abilități intelectuale înalte)!...

Thomas CSINTA (Cofondator IRSCA Gifted Education, Vicepreşedinte  Consorțiul EDUGATE, Profesor de modelizare matematică și matematici aplicate în științe inginerești și social – economice, Director de Studii CUFR ROMÂNIA). Investigațiile complexe și laborioase pe care le-am efectuat în 113 de școli franceze (primare, secundare și pregătitoare la școlile superioare franceze de înalte studii–les grandes écoles), inclusiv, în mediul carceral („în umbra vieții”) privind situația copiilor (tinerilor) „precoci”, „hiperactivi”, „supradotați”, respectiv, cu un „potențial intelectual ridicat”, folosind o serie de baterii de teste de mare fiabilitate (printre care și de tip IQ) sub diverse forme (de la cele mai simple la cele mai complicate), necesitând (o mare) putere de abstractizare, de analiză și sinteză (în principiu, ieșite din comun), ne-au permis să avem o viziune mai clară (și mai exactă) de ansamlu, asupra imaginii unui copil (tânar) cu abilități intelectuale deosebite.În cadrul acestor investigații am făcut apel la o serie de colaboratori specialiști, profesioniști reputați (foști studenți și profesori de-ai mei), foști colegi de studii, (profesori, pedagogi, psihologi, cecrcetatori în educație) care, în principiu, s-au exprimat liber, însă nu rareori cu foarte multe rezerve, preferând, totuși, să păstreze anonimatul!Multmesc tuturor și pe această cale, însă, în special foștilor mei studenți de la CPP (Centrul privat de Perfecționare Pedagogică) din Grenoble (Franța), cu care, cu un sfert de secol în urmă (în anul universitar 1994-1995) am făcut un curs de „Sisteme formale de tip Gödel, Logică matematică și structuri matematice formale, utilizate în stimularea creativității la copii hiperactivi din punct de vedere intelectual”.

Protejat: Teoria educației. Educație și Cercetare pentru societatea cunoașterii, pentru o...

  Thomas CSINTA Cofondator IRSCA Gifted Education Vicepreşedinte  Consițiul EDUGATE   Profesor de modelizare matematică și matematici aplicate în științe inginerești și social – economice, Director de Studii CUFR ROMÂNIA Franța...

== Here the page breaks off for data records ==
The following is a GGA+U calculation of a relaxed structure of Li2Cr3CuO8, from the Materials Project.

abc: 8.383 8.352 8.357
angles: 89.66 89.72 89.87
Fractional coordinates of all 56 atoms:
Li 0.003 0.003 0.001
Li 0.250 0.247 0.249
Li 0.249 0.750 0.750
Li 0.501 0.002 0.501
Li 0.503 0.500 0.000
Li 0.747 0.250 0.753
Li 0.749 0.746 0.251
Li 0.000 0.503 0.499
Cr 0.122 0.127 0.626
Cr 0.127 0.375 0.878
Cr 0.129 0.621 0.125
Cr 0.375 0.373 0.627
Cr 0.375 0.625 0.375
Cr 0.376 0.875 0.128
Cr 0.624 0.374 0.375
Cr 0.624 0.126 0.124
Cr 0.626 0.876 0.875
Cr 0.874 0.124 0.373
Cr 0.873 0.876 0.624
Cr 0.873 0.625 0.877
Cu 0.125 0.876 0.374
Cu 0.376 0.126 0.875
Cu 0.623 0.626 0.625
Cu 0.875 0.373 0.124
O 0.102 0.119 0.388
O 0.103 0.887 0.616
O 0.112 0.606 0.883
O 0.137 0.146 0.865
O 0.126 0.383 0.103
O 0.135 0.368 0.644
O 0.147 0.636 0.364
O 0.148 0.860 0.128
O 0.359 0.146 0.628
O 0.363 0.373 0.855
O 0.369 0.636 0.145
O 0.379 0.608 0.607
O 0.372 0.861 0.358
O 0.385 0.385 0.394
O 0.388 0.109 0.116
O 0.392 0.880 0.894
O 0.610 0.385 0.613
O 0.603 0.611 0.382
O 0.608 0.884 0.114
O 0.628 0.359 0.140
O 0.617 0.103 0.888
O 0.646 0.133 0.363
O 0.644 0.872 0.640
O 0.634 0.647 0.865
O 0.867 0.358 0.355
O 0.864 0.141 0.136
O 0.857 0.868 0.864
O 0.881 0.893 0.387
O 0.867 0.647 0.638
O 0.881 0.109 0.611
O 0.888 0.385 0.895
O 0.890 0.605 0.115

Calculated values
- DFT formation energy (eV/atom) = -1.97
- excess energy over the best structure of this formula in the dataset (eV/atom) = 0.0000
- total magnetization (μB/f.u.) = 5.5



The following is a GGA+U calculation of a relaxed structure of Li4Cr2Cu3Sb3O16, from the Materials Project.

abc: 6.105 6.017 9.633
angles: 89.99 88.29 119.57
Fractional coordinates of all 28 atoms:
Li 0.339 0.670 0.904
Li 0.011 0.005 0.005
Li 0.065 0.033 0.480
Li 0.680 0.340 0.385
Cr 0.316 0.658 0.478
Cr 0.643 0.322 0.996
Cu 0.166 0.830 0.212
Cu 0.166 0.337 0.212
Cu 0.337 0.168 0.720
Sb 0.653 0.826 0.216
Sb 0.831 0.663 0.713
Sb 0.830 0.168 0.713
O 0.154 0.833 0.602
O 0.049 0.525 0.344
O 0.336 0.668 0.109
O 0.988 0.994 0.302
O 0.971 0.985 0.821
O 0.154 0.321 0.602
O 0.494 0.966 0.352
O 0.492 0.527 0.352
O 0.320 0.160 0.091
O 0.683 0.841 0.600
O 0.525 0.487 0.839
O 0.525 0.038 0.839
O 0.697 0.349 0.596
O 0.807 0.661 0.094
O 0.962 0.481 0.840
O 0.807 0.146 0.094

Calculated values
- DFT formation energy (eV/atom) = -1.81
- total magnetization (μB/f.u.) = 8.6



The following is a GGA+U calculation of a relaxed structure of Li4Cr3Cu3Sb2O16, from the Materials Project.

abc: 5.953 5.953 9.627
angles: 89.05 89.05 59.76
Fractional coordinates of all 28 atoms:
Li 0.665 0.665 0.903
Li 0.000 0.000 0.993
Li 0.001 0.001 0.490
Li 0.337 0.337 0.402
Cr 0.830 0.830 0.215
Cr 0.659 0.169 0.714
Cr 0.169 0.659 0.714
Cu 0.832 0.340 0.213
Cu 0.340 0.832 0.213
Cu 0.170 0.170 0.715
Sb 0.666 0.666 0.489
Sb 0.331 0.331 0.988
O 0.834 0.327 0.593
O 0.522 0.522 0.344
O 0.669 0.669 0.112
O 0.000 0.000 0.302
O 0.996 0.996 0.806
O 0.327 0.834 0.593
O 0.967 0.522 0.347
== The data records stop here ==

Protejat: Teoria educației. Principii pentru Constituția educației și cele zece porunci...

  Thomas CSINTA, Profesor de Matematici Aplicate în Științe inginerești și social – economice, Director de Studii CUFR ROMÂNIA Cofondator IRSCA Gifted Education Vicepreşedintele Consorțiului EDUGATE   Franța (Le Parisien) Principii...

Protejat: Teoria educației. Criteriile de evaluare calitativă a educației!

  Thomas CSINTA Profesor de Matematici Aplicate în Stiinte ingineresti si social – economice, Director de Studii CUFR ROMANIA, Redactor – Corespondent (Franta) REMEMBER Performanta în educatie este data de...

Protejat: Teoria educației. Actualitatea educativă în lume: „Impostura și Epigonia educațională...

Thomas CSINTA  Profesor de matematici aplicate în științe inginerești și social–economice, Director de Studii CUFR România (Conseil Universitaire, Formation, Recherche aupres des Grandes Ecoles Francaises), Cofondator IRSCA Gifted...

Protejat: Teoria educației. Declarație de intenții a Consorțiului EDUGATE (Consorțiul Român...

Thomas CSINTA Cofondator IRSCA Gifted Education Vicepreşedinte  Consorțiul EDUGATE Profesor de modelizare matematică și matematici aplicate în științe inginerești și social – economice, Director de Studii CUFR...

Protejat: Teoria educației. Manifestul Educației realizat de către Consorțiul EDUGATE (Consorțiul...

  Thomas CSINTA Profesor de matematici aplicate în stiinte ingineresti si social – economice, Director de Studii CUFR ROMANIA Cofondator IRSCA Gifted Education Vicepreşedinte  Consortiului EDUGATE Franța (Le Parisien) Remember Educația...